3 Generations’ Initial Responses to the Overturning of Roe v. Wade
Women’s rights are human rights. We are discussing the best long-term responses to the rogue court and the attack on women’s autonomy. In the meantime, 3G staff members share their responses and their specific actions. This post will be continuously updated.
In addition to the actions below, we have begun speaking with young women impacted by the decision. You can read some of their responses here.
Jane W.
“Personally, I have been following and supporting Jane’s Due Process – a Texas service helping Texas teens with reproductive rights – for some time. I went to their website after the Dobbs decision and was alarmed by what I saw there: a pop-up explaining not only that they have had to pause all abortion services but also a safety alert relating to computer monitoring. This is BIG BROTHER in action.

“As a New Yorker I was sickened by the New York State Rifle & Pistol Association, Inc v. Bruen SCOTUS decision on June 23rd to overthrow our State’s restrictions on open carry guns. The very next day we saw a contradictory decision on Dobbs based on State’s rights. The hypocrisy and the political volte-face removed any doubt in my mind that we should consider impeachment of several of the SCOTUS justices: I am educating myself on how that might work as well as how to protect women’s rights under the Equal Rights Amendment.”
Daniel C.
Daniel has been reading about and supporting organizations like Shout Your Abortion and We Testify. As documentary filmmakers, we share their commitment to documenting the truth, speaking truth to power, and sharing personal testimony to create change.
Fran L.
Fran is supporting small organizations in targeted areas and communities. In particular, she is donating to Emergency Medical Assistance, Inc., an abortion fund in South Florida, and the National Asian Pacific American Women’s Forum, which advocates for the rights of AAPI women in the United States.
(Unrelated to this entry: crystal structures)
********
{"formula": "PrGd2Y", "functional": "PBE", "state": "optimized geometry", "lattice_angstrom": [[3.615, 0.000, 0.000], [1.807, 3.130, 0.000], [1.807, 1.043, 11.810]], "species": ["Gd", "Gd", "Y", "Pr"], "fractional_positions": [[0.251, 0.251, 0.247], [0.749, 0.749, 0.753], [0.000, 0.000, 0.000], [0.500, 0.500, 0.500]], "ef_mev_per_atom": 24, "polymorph_energy_mev_per_atom": 3.6, "total_energy_ev_per_atom": -9.8270}


This record from Alexandria via LeMat-Bulk describes an optimized crystal structure of Tc3Ir. The functional is PBE.

```
data_Tc3Ir
_chemical_formula_sum 'Tc6 Ir2'
_cell_length_a 4.3649
_cell_length_b 5.5289
_cell_length_c 4.7955
_cell_angle_alpha 90.00
_cell_angle_beta 90.00
_cell_angle_gamma 90.00
_symmetry_space_group_name_H-M 'P 1'
_symmetry_Int_Tables_number 1
_symmetry_space_group_name_Hall 'P 1'
loop_
_atom_site_label
_atom_site_type_symbol
_atom_site_fract_x
_atom_site_fract_y
_atom_site_fract_z
Tc1 Tc 0.2500 0.0036 0.1636
Tc2 Tc 0.2500 0.4964 0.1636
Tc3 Tc 0.2500 0.7500 0.6722
Tc4 Tc 0.7500 0.2500 0.3278
Tc5 Tc 0.7500 0.5036 0.8364
Tc6 Tc 0.7500 0.9964 0.8364
Ir1 Ir 0.2500 0.2500 0.6682
Ir2 Ir 0.7500 0.7500 0.3318
```

Output
The calculation puts the volume at 14.47 Å³/atom. The calculation puts the formation enthalpy at 0 K at -200 meV per atom. Its excess energy over the best structure of this formula in the dataset is 16 meV per atom. Its density of states at the Fermi level is 0.767 states/eV per atom.
********
(End of the crystal structures)
NAPAWF recently published a guide to obtaining an abortion in Texas, which will be translated into six AAPI languages starting on July 1.
Mary Lee J.
Mary Lee is supporting Thrive NJ, a coalition of organizations throughout New Jersey advocating for holistic reproductive justice and care.
She is also interviewing young women to get their reactions to the ruling. Those responses are being collected here.
# Unrelated to this text: calculated crystals
Material: NdEr2ZrP4
Method: DFT, GGA-PBE
State: optimized geometry

Calculated values
DFT total energy: -7.015 eV per atom
N(E_F): 0.193 states/eV per atom

```
data_NdEr2ZrP4
_chemical_formula_sum 'Nd1 Er2 Zr1 P4'
_cell_length_a 6.833
_cell_length_b 3.951
_cell_length_c 6.857
_cell_angle_alpha 90.00
_cell_angle_beta 109.25
_cell_angle_gamma 90.00
_symmetry_space_group_name_H-M 'P 1 2/m 1'
_symmetry_Int_Tables_number 10
_symmetry_space_group_name_Hall '-P 2y'
loop_
_atom_site_label
_atom_site_fract_x
_atom_site_fract_y
_atom_site_fract_z
Nd1 0.000 0.000 0.000
Er1 0.500 0.000 0.500

Sam L.
Sam is adopting Georgia as an at-risk state and is donating to ARC Southeast, which provides funding and support to women throughout the Southeast.
She is also writing and calling her elected officials to encourage them to expand the court and to codify abortion access into federal law by passing the Women’s Health Protection Act.
~~~
! GGA-PBE AlCrAs2, optimized geometry; values from VASP
&SYSTEM
  ibrav = 0, nat = 4, ntyp = 3
/
ATOMIC_SPECIES
Cr 52.00 Cr.upf
As 74.92 As.upf
Al 26.98 Al.upf
CELL_PARAMETERS angstrom
4.7927 -0.1054 -0.0434
0.9888 4.6907 0.0434
-2.3642 -2.9565 2.9415
ATOMIC_POSITIONS angstrom
Cr 2.6596 -0.3846 1.4490
As 0.0201 0.0160 0.0000
As 2.8706 2.2767 0.0000
Al 0.7576 2.0135 1.4924
! Energy relative to the elements (meV/atom): 159.2
! Spin magnetization (μB per formula unit): 2.6
! DOS(E_F) (states/eV/f.u.): 1.6
! E (eV/atom): -5.507

=====

(1)
# CrCuO2

An optimized crystal structure of CrCuO2 (GGA-PBEsol, the Alexandria database).

a = 2.9604 Å, b = 2.9604 Å, c = 5.8973 Å
α = 75.46°, β = 75.46°, γ = 60.00°
Closest atoms and distances in Å follow each position.
Fractional coordinates of all 4 atoms:
Cr 0.5000 0.5000 0.5000  6 O 1.98
Cu 0.0000 0.0000 0.0000  2 O 1.83
O 0.8919 0.8919 0.3242  1 Cu 1.83, 3 Cr 1.98
O 0.1081 0.1081 0.6758  1 Cu 1.83, 3 Cr 1.98

Properties
Formation energy without anion corrections ... -1.39 eV per atom
Energy ... -7.655 eV per atom
Space group ... R-3m, No. 166

(2)
# Cr2CuO7

An optimized crystal structure of Cr2CuO7 (GGA-PBEsol, the Alexandria database).

a = 8.1283 Å, b = 10.0308 Å, c = 10.0326 Å
α = 93.10°, β = 90.00°, γ = 90.00°
Closest atoms and distances in Å follow each position.
Fractional coordinates of all 60 atoms:
Cr 0.7266 0.7174 0.8468  4 O 1.60-1.75
Cr 0.2217 0.6333 0.8133  4 O 1.58-1.73
Cr 0.7783 0.1333 0.8133  4 O 1.58-1.73
Cr 0.2734 0.2174 0.8468  4 O 1.60-1.75
Cr 0.7643 0.0473 0.4958  4 O 1.60-1.76
Cr 0.2217 0.8667 0.1867  4 O 1.58-1.73
Cr 0.2357 0.5473 0.4958  4 O 1.60-1.76
Cr 0.7783 0.3667 0.1867  4 O 1.58-1.73
Cr 0.7643 0.4527 0.5042  4 O 1.60-1.76
Cr 0.2357 0.9527 0.5042  4 O 1.60-1.76
Cr 0.2734 0.2826 0.1532  4 O 1.60-1.75
Cr 0.7266 0.7826 0.1532  4 O 1.60-1.75
Cu 0.0723 0.5729 0.1434  4 O 1.89-1.91
Cu 0.9277 0.4271 0.8566  4 O 1.89-1.91
Cu 0.5809 0.7500 0.5000  4 O 1.90-1.92
Cu 0.0723 0.9271 0.8566  4 O 1.89-1.91
Cu 0.4191 0.2500 0.5000  4 O 1.90-1.92
Cu 0.9277 0.0729 0.1434  4 O 1.89-1.91
O 0.2374 0.0563 0.8303  1 Cr 1.64
O 0.2406 0.7057 0.1472  1 Cr 1.65
O 0.3733 0.2500 0.0000  2 Cr 1.75
O 0.1089 0.9115 0.6165  1 Cr 1.60
O 0.6075 0.4374 0.1662  1 Cr 1.58
O 0.1002 0.3009 0.8485  1 Cr 1.64
O 0.8436 0.1102 0.6494  2 Cr 1.73-1.76
O 0.8912 0.4115 0.6165  1 Cr 1.60
O 0.2516 0.1159 0.5062  1 Cr 1.64
O 0.6075 0.0626 0.8338  1 Cr 1.58
O 0.2516 0.3841 0.4938  1 Cr 1.64
O 0.5850 0.1175 0.4793  1 Cr 1.63
O 0.0788 0.9344 0.0916  1 Cr 1.67
O 0.8998 0.8009 0.8485  1 Cr 1.64
O 0.1564 0.8898 0.3506  2 Cr 1.73-1.76
O 0.8436 0.3898 0.3506  2 Cr 1.73-1.76
O 0.1002 0.1991 0.1515  1 Cr 1.64
O 0.3925 0.5626 0.8338  1 Cr 1.58
O 0.7626 0.5563 0.8303  1 Cr 1.64
O 0.4150 0.8825 0.5207  1 Cr 1.63
O 0.6108 0.7394 0.2722  1 Cr 1.60
O 0.7484 0.8841 0.4938  1 Cr 1.64
O 0.9212 0.4344 0.0916  1 Cr 1.67
O 0.7484 0.6159 0.5062  1 Cr 1.64
O 0.1088 0.5885 0.3835  1 Cr 1.60
O 0.4150 0.6175 0.4793  1 Cr 1.63
~~~
(So much for the data records)
We will continue to update this post with more responses from 3G staff and alumni.